== Brief ==
Reproduce the data further down character by character.

== Excerpt ==
~~~
The following is a PBE calculation of a relaxed Ti3CuPb crystal, from Alexandria via LeMat-Bulk.

a b c (Å): 5.185 5.185 5.185
angles (deg): 90.00 90.00 90.00
Each line ends with the local moment (μB).
Sites, in units of the cell vectors:
Cu 0.500 0.500 0.500  0.00
Ti 0.000 0.500 0.000  1.32
Ti 0.000 0.000 0.500  1.27
Ti 0.500 0.000 0.000  1.37
Pb 0.000 0.000 0.000  -0.04

## Properties
Symmetry: Pm-3m, No. 221
~~~

== Written answer ==
The following is a PBE calculation of a relaxed Ti3CuPb crystal, from Alexandria via LeMat-Bulk.

a b c (Å): 5.185 5.185 5.185
angles (deg): 90.00 90.00 90.00
Each line ends with the local moment (μB).
Sites, in units of the cell vectors:
Cu 0.500 0.500 0.500  0.00
Ti 0.000 0.500 0.000  1.32
Ti 0.000 0.000 0.500  1.27
Ti 0.500 0.000 0.000  1.37
Pb 0.000 0.000 0.000  -0.04

## Properties
Symmetry: Pm-3m, No. 221